Meeting Minutes

December 4, 2008





Mark Evers, Town of North Greenbush

Steve Feeney, representing Susan Savage, Schenectady County

Michael Franchini, representing Mike Breslin, Albany County

Bruce Hidley, representing Mayor Michael Manning, City of

Charles Houghtaling, Albany County

Terry Hurley, Albany Port District Commission

Steve Iachetta, representing John O’Donnell, Albany County
  Airport Authority

Mayor Scott Johnson, City of Saratoga Springs

Joe Landry, Schenectady County

Mayor John T. McDonald III, City of Cohoes, Chairman

Joseph Rich, Federal Highway Administration

William Rinaldi, New York State Thruway Authority

William Roehr, representing Mayor Harry Tuntunjian, City of Troy

Brian Rowback, NYS Department of Transportation Region 1

Deirdre Rudolph, representing Mayor Gerald Jennings, City of

Debbie Shannon, representing Mike Stammel, Capital District
  Regional Planning Commission

Linda von der Heide, representing Kathleen Jimino, Rensselaer

Tom Werner, Saratoga County





Kevin DeLaughter, Town of Colonie

Michael Fleischer, NYS Thruway Authority

Bob Hansen, NYS Department of Transportation Region 1

Dave Jukins, Capital District Transportation Committee

Michael Lyons, Town of Colonie

********
No. 1
The following is a DFT calculation (the ωB97M-V functional and the def2-TZVPD basis) of a molecular structure, C18H32Cl10Mg2O8.

The geometry in XYZ format:
```
70
Properties=species:S:1:pos:R:3:forces:R:3
Mg 1.243 -3.215 0.940 1.09 0.16 -1.29
Mg 1.601 -1.542 -2.037 0.10 -0.34 0.78
C 1.603 -5.959 -2.447 0.20 1.55 -0.05
C 1.495 -4.627 -1.663 0.88 1.49 0.13
O 1.213 -4.593 -0.440 -0.67 -1.48 1.19
O 1.783 -3.522 -2.227 -0.29 -1.52 -0.81
H 1.577 -5.578 -3.468 -0.32 -0.69 -0.22
H 0.869 -6.725 -2.199 -0.15 0.42 -0.04
H 2.589 -6.407 -2.323 0.09 0.21 0.30
C -1.018 -0.093 0.588 -1.32 0.47 0.26
C -0.148 -1.278 0.696 -0.51 0.67 -1.36
O 0.387 -1.747 -0.322 0.80 -0.20 -2.13
O 0.021 -1.920 1.732 -0.46 -0.67 3.67
H -1.981 -0.305 1.052 -0.08 -0.33 0.24
H -1.270 0.109 -0.453 0.55 0.26 0.11
H -0.668 0.781 1.137 0.36 -0.06 -0.33
C 0.202 -0.077 -5.316 0.42 1.00 -0.79
C 0.750 -0.570 -4.031 0.13 -0.88 -0.93
O 0.013 -0.774 -3.064 -2.71 0.06 1.93
O 1.960 -0.812 -3.867 2.00 0.20 -0.98
H 0.469 0.975 -5.219 -0.16 0.31 -0.47
H -0.871 -0.118 -5.501 0.07 -0.31 0.53
H 0.728 -0.439 -6.200 0.11 -0.16 0.25
C 5.200 -1.592 0.368 0.45 0.24 -0.62
C 3.743 -1.783 0.143 -2.06 -0.61 -0.03
O 3.096 -2.593 0.883 0.50 -0.33 0.87
O 3.134 -1.226 -0.803 1.04 0.64 -0.43
H 5.560 -1.857 1.362 -0.29 0.14 -0.11
H 5.506 -0.599 0.038 -0.12 0.11 0.38
H 5.685 -2.235 -0.366 0.09 -0.32 0.04
Cl 3.429 -0.831 4.757 -0.24 -0.59 -0.07
C 2.724 0.796 4.578 0.75 0.11 1.30
C 2.006 0.982 3.295 0.01 0.13 -0.74
Cl 3.136 1.089 1.909 -0.02 -0.15 -0.06
H 3.621 1.381 4.779 -0.43 0.66 -0.58
H 2.048 0.971 5.415 -0.13 -0.22 -0.04
H 1.430 1.906 3.250 0.03 -0.08 0.29
H 1.350 0.127 3.133 -0.04 0.04 -0.12
Cl 0.985 3.206 -3.901 0.31 0.16 0.19
C 0.009 3.828 -2.566 -1.88 -0.05 0.56
C -0.457 2.704 -1.612 0.43 0.26 -1.29
Cl 0.928 2.125 -0.775 1.78 -0.52 1.35
H -0.886 4.251 -3.021 -0.03 0.00 -0.13
H 0.466 4.651 -2.016 0.50 -0.33 -0.15
H -0.738 1.814 -2.175 -0.63 0.41 -0.18
H -1.211 2.994 -0.880 0.06 0.19 -0.36
Cl -0.460 5.183 0.961 1.39 -0.02 -0.73
C -2.067 4.829 1.456 -1.20 -0.14 1.74
C -2.064 4.295 2.938 -1.19 -0.28 -0.81
Cl -1.326 2.629 3.079 0.03 1.25 -0.22
H -2.623 4.172 0.788 0.55 -0.50 0.03
H -2.603 5.770 1.339 -0.15 0.06 0.71
H -3.082 4.107 3.279 -0.16 0.07 -0.36
H -1.685 4.983 3.694 0.74 -0.16 -0.43
Cl -0.615 -2.035 5.272 0.00 0.24 -0.17
C -2.149 -1.701 4.397 -0.33 -1.01 0.88
C -2.434 -0.260 4.217 1.33 1.20 -0.75
Cl -2.445 0.626 5.766 -0.42 -0.09 -0.03
H -2.929 -2.091 5.051 0.03 -0.46 -0.26
H -2.049 -2.262 3.467 -0.31 0.29 -0.02
H -3.319 -0.030 3.623 -0.27 -0.31 0.40
H -1.614 0.192 3.659 0.02 -0.08 0.02
Cl -5.403 -1.271 -2.595 -0.06 -0.07 0.18
C -4.267 -0.274 -3.524 1.21 -0.02 0.55
C -3.078 0.247 -2.688 -0.58 -1.19 -0.85
Cl -3.495 1.656 -1.790 -0.55 1.27 0.82
H -4.857 0.534 -3.957 0.36 -0.16 -0.24
H -3.740 -0.917 -4.229 -0.72 -0.04 -0.44
H -2.268 0.451 -3.389 0.07 0.18 0.24
H -2.740 -0.508 -1.978 0.00 -0.07 -0.26
```
Forces are in eV/Å.
********

Kelly Mateja, Town of Colonie

Sandra Misiewicz, Capital District Transportation Committee

Elizabeth Novak, NYS Thruway Authority

Jason Purvis, Capital District Transportation Committee

Jill Ross, NYS Thruway Authority

Phil Serafino, representing William Rinaldi, NYS Thruway Authority

Ken Williams, Interested Citizen

Cathy Woodruf, Times Union




Chairman McDonald opened the Capital District Transportation Committee meeting at approximately 3:08 p.m. and welcomed those in attendance to the CDTC offices. Members and attendees then introduced themselves.





Chairman McDonald noted that this award is given in honor of Fred Field who served as CDTC’s Chairman for seven years. The award was established in 2003 and today is being presented to two individuals who best reflect Fred’s principles of fairness, responsibility, collaboration and innovation.  Chairman McDonald presented the 2008 awards to Bob Hansen, NYSDOT Region 1’s Acting Regional Planning and Program Manager and Kevin DeLaughter, Senior Planner with the Town of Colonie. 





September 4, 2008 Meeting Minutes


Members approved the September 4, 2008 meeting minutes as written.


Administrative & Financial Standing Subcommittee


The Administrative and Financial Standing Subcommittee met in early October and accepted the 2008 CDTC audit report.  No major issues were cited in the audit.  CDTC also signed an agreement with a consulting firm to provide actuarial services for GASB45 valuation of post retirement health care benefits. 


Appointment of Nominating Subcommittee


Brian Rowback, John Cunningham, Ray Melleady and Mike Stammel were appointed to the nominating subcommittee.





Ken Williams addressed the Board as a concerned citizen regarding CDTA’s proposed fare increase.  Mr. Williams stated that he is concerned with the higher fares and their impacts on Swiper Card holders.  He would also like CDTA to ensure that the service quality is improved with the fare increase. 





Michael Fleischer from the New York State Thruway Authority presented a PowerPoint on the Thruway Mobility and Modernization Study.  Cost increases have resulted in a decrease in the value of funds available to the Thruway and will decrease the projects delivered.  The study looked at the future of tolling on the Thruway and the alternatives available.  The study noted that 58% of frequent Thruway users (i.e. commuters) use E-Zpass while 84% of infrequent customers are using cash.  This indicates a need for continuation of a cash tolling option in the near term.  The study is looking at eliminating/reducing toll collection points and moving toll barriers to strategic locations on the Thruway mainline, possibly introducing free urban travel.  Policy Board members offered comments including the apparent conflict of trying to provide managed lanes while at the same time introducing free urban travel and it was noted that consideration should be given to congestion pricing. 





Joe Rich from the Federal Highway Administration presented a PowerPoint on the CDTC Certification Review findings.  He noted that CDTC continues to be an outstanding model of metropolitan planning.  It is unusual for MPO’s to have even three noteworthy best practices but CDTC has 12 best practices noted in the report.  Mr. Rich acknowledged CDTA’s successful hosting role and model collaboration efforts with CDTC.  The report identified several corrective actions and recommendations.  Chairman McDonald indicated that CDTC’s success is testimony to the strong partnerships that have been built through CDTC’s planning process and that the region is fortunate to have one of the best MPOs in the state.   





Safe Routes to School


Dave Jukins noted that four projects were selected for funding in CDTC’s planning area for the Safe Routes to School Program out of 11 applications.  They are the Bethlehem Orchard Street Ped Improvements (A504), Colonie Sand Creek Middle School Bike/Ped Program (A505), Shenendehowa Community Trails Network (SA248), and the Stillwater Route 4 Sidewalk Extension (SA249).  Although the first two projects could be added to the 2007-12 Transportation Improvement Program (TIP) with Planning Committee action only, due to the higher cost of the second two (Shenendehowa and Stillwater) Policy Board action is required.  Members approved the amendment to add projects SA248 and SA249 to the TIP.



Saratoga Bus Garage Feasibility Study


Dave Jukins reported that CDTC received funds for a feasibility study of a bus garage in Saratoga County through Section 5309.  The project needs to be added to the 2007-2012 TIP.  Members approved the amendment to add this project to the TIP. 





Dave Jukins noted that the program update process has been bumpy thus far.  NYSDOT was forced into accelerating the program update outside of the normal MPO process which has resulted in the TIP update being behind schedule.  On the positive side, MPOs were invited to participate in the program presentations to the Commissioner for the first time and MPO concerns have been considered.  The core program will likely have a heavy focus on bridges as many have reached the end of their 50 year design life.  There is likely to be an overwhelming financial burden on the state if a strategy for rehabbing and reconstructing bridges is not put in place.  The TIP update process will be interesting as there are a number of challenging issues that need to be brought into the discussion. 





Capital District Regional Planning Commission


Deb Shannon reported that employment projections for the traffic analysis zones have been completed and are beginning to work on the case studies of local projects in the Capital Region. 


New York State Department of Transportation


Brian Rowback noted that due to the state’s budget bulletin, there are serious spending restrictions which limits what the Department can do right now.  It is a challenging time for NYSDOT.


Albany County Airport Authority


Steve Iachetta noted that the Airport is currently operating at a steady state despite slight reductions in flying and budget revenues.  About $4M in terminal improvements were recently completed.


Port of Albany


Terry Hurley reported that maritime business is strong and the Port is phasing the dock and wharf reconstruction. 



CDTC Staff


Dave Jukins reported that CDTC will continue to be working on the TIP update through the winter, that is up and running and that staff continues to work on Linkage Program studies.  A solicitation for new studies was recently completed and a funding recommendation will be brought to the Planning Committee in January 2009. 


Saratoga County


Tom Werner noted that Saratoga County’s annual Planning and Zoning Conference will be held on January 28, 2009 at the Saratoga Hilton.  Registration material is available on Saratoga County’s website and the conference is open to Planning and Zoning Board members throughout the Capital Region. 







The next meeting is scheduled for 3:00 pm, Thursday March 5, 2009 at the CDTC offices. 


There being no other business, the meeting was adjourned at approximately 4:35 pm.


Respectfully submitted,





Brian O. Rowback
